Saturday, February 18, 2012


We have been a little busy this past week so my posts have been a little... well.. nonexistent.

So I will attempt to "hit the high spots" on what we have been up to.

Valentines was a little bizarre for me this year. Mostly because I had been fighting a cold and had forgotten all about it! That left me at the mercy at CVS but the kids seemed to enjoy their goodies so THANK YOU CVS! :-)

My sister took Chase to the HIGH museum of Art and he LOVED it!!!

Andrew and I finally found a great restaurant for burgers in Buford : Teds Montana Grill, which my sister and I reconfirmed Monday night. YUMMY..ohh.... I almost forgot the homemade potato chips and dip... I could have licked the bowl.

School was out Friday, so the kids and I headed over to Cumming and kidnapped Auntie H and headed to the Avenues for some Mellow Mushroom Pizza and some shopping. FUN! Great deals at American Eagle!!

The boys headed to NC for the weekend and had a blast spending thr night with their Nana. Now if we can only talk her into coming for a visit. Hint Hint. Lol.

The boys talked Auntie H into taking them to the movies to see the new Journey movie in IMAX 3D. They loved it!!!

Fun and family filled days ahead. Can't wait for the weekend. Long to do lists. Happy Wednesday. :-)

Tuesday, February 14, 2012

Milestones of Baby M

Yesterday Madelyn turned 5 months old. I can not believe it has already been that long since I brought her home from the hospital. Here are some quick updates on her progress.

#1...She has officially out grown the Carter's 3 month clothes. She can still wear most 3-6 months but she can also wear 6 months even though they are a little big.

#2...In the last couple of days she has been full out laughing. She is always smiley and would laugh a bit out loud when you tickled her or made funny faces but now she is actually laughing repeatedly! The boys absolutely crack her up! It's the cutest thing ever!!!

#3....She has found her hands and has figured out how to use them! Haha! She is grasping and moving toys on her exersaucer and her rocker. She can hold her bottle (if she wants to otherwise she's a total diva). And she is very good at putting things in her mouth.

4...transitioning her to baby food is turning out to be difficult. She has not liked any of the Gerber baby foods except the apples and she doesn't really love the organic plum brand either. But tonight we tried the Sprout organic roasted butternut squash and she loved it!!! She still hates the carrots but I can live with that.

5...she can roll over (scary I know) and is really working hard to sit up on her own. She's very determined!

6...She is still sleeping through the night and I am thankful for that! I put her down around 9pm and she will sleep until at least 9:30 or 10 am. I have no complaints in that department at all!

7... We are currently in tooth watch mode. No visible signs but we have the river of drool and the runny nose and low grade fevers. I doubt it will be long before she cuts her first tooth!

So far she is right on target with where she should be and is growing up so fast that I am afraid to blink because I might miss something. I have a very blessed life with my Baby M and my two big boys!

Sunday, February 12, 2012

Just another toy I wish I had never bought

I completely overdid the Christmas presents this year. I know this because some of the cashiers at toys r us and gamestop now know me personally. Yeah it's that bad. For the most part I bought the new games that were out for Xbox, PS3, and Nintendo DS. ( Its robbery how expensive some of these games cost. How these manufacturers can sleep at night is beyond me!) But what I am mad at myself for buying are the toy toys. The remote helicopter that was flown for a day and broken. The Mario Kart Racetrack by Knex that has never even been put all the way together but is now laying in a million pieces in the nursery floor. The countless legos and the train set and the art I need to go on? It's like I might has well have taken the money and threw it in the garbage. I am not going to do that this year. I have a general idea about a larger item that the kids want and I think I am going to buy it and nothing else but the accessories for it. It's not that they don't appreciate what they have. They just are almost past that age where toys just can't hold their attention when they have game systems and laptops and all that jazz. This technology age has spoiled them.

Saturday, February 11, 2012

Family Day Out Part 2

After the bakery we headed to the Gwinnett Place Mall to exchange my bedding for the correct size at Macy's. Can I just how run down that mall is. And ghetto but not in the fabulous way. Even one of the employees at Gymboree commented on how a lot of the stores were empty. The funniest part was we ended up in the Mega Mart which we have never gone in before. It was an interesting experience that's for sure. The kids loved the fountain and Madelyn was being a great baby riding around in her new umbrella stroller. From there we headed to Discover Mills so the boys could have a few races at the slingshot speedway. They love that place and have launched a campaign to talk me into buying them their own race cars. I am not sold yet. Don't these kids realize Christmas was months ago?!? Sheesh. Lol. After the racing and shopping we headed over to Cracker Barrel for some breakfast for dinner and it was yummy!! Now we are home and getting ready to watch Breaking Dawn on DVD. (team Jacob! But that's a recent development, haha!!)

Family Day Out Part 1

Today was the boys pick on where to eat for lunch. Of course that means Mellow Mushroom Pizza. The good side to that (other than the pizza being fantabulous!) is that the closest one is in Suwannee Town Center and it's right beside my favorite place called Gimme Some Suga. So after pizza we are heading for cupcakes. Yummy!!

Reality Check

I have been a little bit stressed on the verge of needing medication for all the stress I have been under for the past few weeks. I was talking to my mother the other day and I was complaining about the boys and complaining about the new stress at work...I was just pretty much complaining about everything. I couldnt find one positive thing to talk about in the mix of all that anxiety. I have become the epitome of "Debbie Downer" and I couldnt seem to break out of the funk that came with it. I wasnt sleeping and I was eating everything in sight that was definitely not on my diet list! I was so run down that I caught yet another cold and spent most of the day yesterday in bed. Then I read this blog by a mother who has a son with EB. It was horrific and sad and humbling. I am a fighter and a worker but the way I have been complaining the last few weeks have made me feel like a brat. Yes my boys are not behaving and being disrespectful and my job is...lets not even go there....but you know what I have it easy compaired to this poor woman that can not even hold her child without causing him pain. Life has given me many blessings and I am not going to spend one more day taking them for granted. No more excuses..I am going to live each day and show how thankful I am for everything and everyone in my life.

Chase, Auntie H, Madelyn, and Andrew at Starbucks

Tuesday, February 7, 2012

Most of all I am just tired of being tired

I am TIRED of crying.
I am TIRED of yelling.
I am TIRED of being sad.
I am TIRED of pretending.
I am TIRED of being alone.
I am TIRED of being angry.
I am TIRED of feeling crazy.
I am TIRED of feeling stuck.
I am TIRED of needing help.
I am TIRED of remembering.
I am TIRED of missing things.
I am TIRED of being different.
I am TIRED of missing people.
I am TIRED of feeling worthless.
I am TIRED of feeling empty inside.
I am TIRED of not being able to just let go.
I am TIRED of wishing I could start all over.
I am TIRED of dreaming about a life I will never have.
But most of all.. I am just TIRED of being TIRED!

I didn't write this but it could not be more true sometimes.

Monday, February 6, 2012

Baby Proof

All you moms know ok...lets keep it real.. some things that come out of these babies are just down right nasty.... I mean sometimes I think I need a hazmat suit to feed a baby! Love you Madelyn!! Anyway... I have found an extremely awesome brand of work out wear at TARGET!!! I have bought yoga/workout clothes at American Eagle and Aeropostale and it does not hold a candle to the fleece light weight jacket I bought on clearance at Target. I paid $14 for this jacket that Baby M has... initiated at least a dozen times which means... It's been washed a dozen times and it still looks new! No shrinking, fading, or lint! It's a pewter color and I love it! I only wish they had more. I paid 3 times that for my aero ones and they look terrible! I am sold on this product! I love my Target!!!!

Friday, February 3, 2012

Its a moms world

In today's society it is very common that both parents have to work outside the home support their families. At my office the majority of us ( I work in a dental office in which all of my coworkers are women) have become the "bread winners" for our families due to various economic declines. With construction almost completely shut down these men are no longer pulling high salaries down assuming they have even been able to maintain employment at all. I am thankful that I have a dependable job that allows me to provide the necessities and a few luxuries for my family because let me tell you my government hasn't done anything to help me. Even with my maternity leave this year I am still going to end up paying state taxes because of being in a higher tax category. I have 3 children that I raise on my salary and I don't qualify for EIC. So the dreams of my new sectional sofa with matching oversized ottoman are circling the drain in leu of paying almost $700 to the lovely state of Georgia. Boo! Did I mention the sofa is grey? Yeah..... Lol.

Ok back to the working mother.... I often times feel like I am judged. Probably not really by anyone other than myself but the feeling of inadequacy is still there. I love to cook but on the days I work I rarely do it unless it is a baked spaghetti or something like that. The poor people at pizza hut delivery know me personally and that's just sad. I hope to change that now that my office is slowing down a bit and I can get home before 6. I have had people criticize me for that. Literally make smart comments about it but thats their issues because I am doing the best I can so moving on.

Laundry... OH EM GEE.... We're going to skip that one because I am still praying that the laundry fairy will come and catch me up from my weekend out of town. It has occurred to me that if I just stopped buying these children clothes then I wouldn't have to wash so much. Of course I am sure going to school naked would be frowned upon in my district. Hahaha.

My house needs a complete spring cleaning! (THANK GOD it's NOT SPRING yet!!!!) I think I am just overwhelmed right now. I was doing so well when I first started back from maternity leave then we got slammed at work and I was literally there 7 days a week. (ergo higher tax bracket...bye bye sofa) Its so hard because when I am home I want to spend it with the boys and Baby M. This is her bonding time and when she spends more waking hours with the nanny than with me it's extremely hard to just spend the whole weekend cleaning. I know it will work out but I am hoping to get super organized this weekend so that things can get back to normal.

And all those haters out there who judge us working mommas need to spend more time encouraging us because let's face it people. We are the current future of this fact I am going to be stimulating the economy a little today and possibly do a little shopping. Hahahaha. Like I need an excuse to shop.

Oh and I threw in this adorable new pic of Baby M! Enjoy!

Wednesday, February 1, 2012

Calculated molecules, kept here for reference >
=====
Density functional theory data (ωB97M-V/def2-TZVPD) for C4H7NO in the gas phase.

Geometry as ORCA input:
```
! wB97M-V def2-TZVPD RIJCOSX def2/J DEFGRID3
* xyz 0 1
O -1.90 -1.33 -0.48
N -0.56 -1.24 -0.86
C 0.02 -0.25 -0.30
C -0.70 0.71 0.62
C -0.05 1.78 1.37
C 1.49 -0.09 -0.59
H -2.21 -2.09 -0.99
H -1.68 0.99 0.21
H -1.01 0.17 1.55
H 1.73 0.94 -0.86
H 1.03 1.52 1.45
H 1.75 -0.76 -1.42
H 2.09 -0.37 0.28
*
```

=====

Density functional theory data (ωB97M-V/def2-TZVPD) for C4H7NO in the gas phase at a distorted geometry.

Geometry as ORCA input:
```
! wB97M-V def2-TZVPD RIJCOSX def2/J DEFGRID3
* xyz 0 1
C -1.94 -0.65 0.13
C -0.62 -0.12 -0.41
O 0.18 0.23 0.72
C 1.38 0.86 0.39
C 2.42 -0.07 -0.11
N 3.27 -0.79 -0.43
H -2.41 0.11 0.77
H -2.62 -0.89 -0.69
H -1.77 -1.55 0.73
H -0.78 0.77 -1.03
H -0.10 -0.87 -1.02
H 1.77 1.31 1.31
H 1.24 1.66 -0.35
*
```

Results
SMILES string: CCOCC#N

=====

Density functional theory data (ωB97M-V/def2-TZVPD) for a 2-piece molecular cluster, C4H7NO overall at a distorted geometry.

Geometry as ORCA input:
```
! wB97M-V def2-TZVPD RIJCOSX def2/J DEFGRID3
* xyz 0 1
C -1.11 -1.17 0.71
C -0.48 -0.56 -0.56
C -0.33 0.93 -0.50
N 0.69 1.51 -0.98
C 2.70 0.12 0.70
O 3.49 0.92 0.58
H -0.46 -1.92 1.17
H -1.30 -0.40 1.47
H -2.07 -1.65 0.50
H 0.51 -0.99 -0.76
H -1.16 1.47 -0.02
H -1.10 -0.78 -1.43
H 0.61 2.53 -0.87
*
```

=====

Density functional theory data (ωB97M-V/def2-TZVPD) for C4H7NO in the gas phase.

Geometry as ORCA input:
```
! wB97M-V def2-TZVPD RIJCOSX def2/J DEFGRID3
* xyz 0 1
C 1.43 -0.60 0.04
C 0.02 0.00 0.12
C -0.40 1.43 -0.02
N -0.17 0.62 -1.20
C -1.07 -0.90 0.69
O -2.05 -0.52 1.30
H 1.58 -0.89 -1.01
H 2.20 0.14 0.25
H 1.56 -1.49 0.65
H -1.44 1.65 0.18
H 0.29 2.25 0.17
H -1.00 0.27 -1.65
H -0.93 -1.98 0.49
*
```

Results
SMILES string: C[C@@]1(C=O)CN1

=====

Density functional theory data (ωB97M-V/def2-TZVPD) for C4H7NO in the gas phase.

Geometry as ORCA input:
```
! wB97M-V def2-TZVPD RIJCOSX def2/J DEFGRID3
* xyz 0 1
C -1.79 -0.32 -0.14
N -1.27 0.89 0.49
C -0.53 0.30 -0.62
C 0.75 -0.44 -0.31
C 1.90 0.24 0.28
O 1.04 -0.58 1.07
H -1.69 -1.26 0.41
H -2.71 -0.21 -0.70
H -0.82 0.64 1.37
H -0.54 0.91 -1.52
H 0.93 -1.34 -0.91
H 2.90 -0.16 0.17
H 1.82 1.32 0.44
*
```

Results
SMILES string: C1N[C@H]1[C@H]1CO1

=====

Density functional theory data (ωB97M-V/def2-TZVPD) for C4H7NO as an isolated structure at a distorted geometry.

Geometry as ORCA input:
```
! wB97M-V def2-TZVPD RIJCOSX def2/J DEFGRID3
* xyz 0 1
C 1.32 -0.57 -1.01
C 0.55 0.57 -0.40
C -1.01 0.73 -0.38
N -0.23 0.48 0.81
C -0.78 -0.44 1.62
O -2.00 -0.65 1.57
=====
End of the calculated molecules >

Photo Diary

Madelyn is changing so much every day that I am constantly snapping pictures of her. I thought I would use this post to play catch up with some of my favorites. I hope you enjoy them as much as I do.
someone was NOT happy but I love this picture

## These records of molecules were left in the text by mistake
____________
# C24H48O24

A cluster of 8 separate species, C24H48O24 in total in a non-equilibrium geometry (ωB97M-V/def2-TZVPD, the OMol25 dataset).

Element x y z (Å)
C: 5.806 14.346 -17.833
O: 5.625 14.471 -19.209
C: 6.603 14.426 -20.053
O: 6.375 14.594 -21.282
O: 7.779 14.187 -19.466
C: 8.995 14.072 -20.286
H: 4.898 14.254 -17.236
H: 6.252 15.196 -17.317
H: 6.475 13.522 -17.582
H: 8.996 13.303 -21.059
H: 9.936 13.996 -19.742
H: 9.132 15.010 -20.826
C: 1.774 21.679 -30.709
O: 2.543 21.711 -29.538
C: 2.186 22.419 -28.455
O: 1.003 22.846 -28.166
O: 3.300 22.667 -27.704
C: 3.061 23.319 -26.553
H: 2.306 21.122 -31.480
H: 1.623 22.659 -31.162
H: 0.813 21.183 -30.575
H: 2.635 22.690 -25.772
H: 2.289 24.088 -26.538
H: 4.037 23.722 -26.282
C: 14.186 7.122 -8.360
O: 14.407 8.197 -9.207
C: 14.443 9.402 -8.643
O: 14.622 9.801 -7.485
O: 14.378 10.367 -9.619
C: 14.503 11.837 -9.380
H: 13.129 7.128 -8.093
H: 14.833 7.169 -7.484
H: 14.288 6.151 -8.844
H: 13.591 12.137 -8.864
H: 14.647 12.351 -10.330
H: 15.320 12.162 -8.736
C: -2.340 18.985 -24.390
O: -1.734 19.496 -23.218
C: -2.310 20.514 -22.541
O: -3.471 21.065 -22.683
O: -1.375 20.807 -21.668
C: -1.400 22.100 -21.036
H: -2.505 19.730 -25.169
H: -3.324 18.550 -24.220
H: -1.831 18.150 -24.873
H: -2.002 22.155 -20.129
H: -1.838 22.863 -21.679
H: -0.416 22.362 -20.648
C: 7.589 20.119 -4.567
O: 7.217 20.881 -5.686
C: 6.253 20.438 -6.513
O: 5.458 19.569 -6.307
O: 6.325 21.214 -7.693
C: 5.511 20.921 -8.781
H: 8.486 19.578 -4.868
H: 6.898 19.313 -4.322
H: 7.740 20.699 -3.656
H: 5.108 21.754 -9.357
H: 4.566 20.402 -8.620
H: 6.059 20.208 -9.398
C: 15.241 17.690 -26.703
O: 15.614 18.490 -25.597
C: 15.459 18.001 -24.417
O: 15.041 16.868 -24.082
O: 15.828 18.917 -23.425
C: 15.766 18.568 -22.009
H: 15.950 16.886 -26.900
H: 15.352 18.315 -27.589
H: 14.262 17.212 -26.736
H: 14.691 18.411 -21.922
H: 16.086 19.376 -21.350
H: 16.316 17.648 -21.812
C: 9.750 18.937 -14.030
O: 8.588 19.241 -14.732
C: 8.551 19.814 -15.885
O: 9.450 20.148 -16.622
O: 7.258 19.871 -16.277
C: 6.772 20.342 -17.565
H: 10.396 18.423 -14.743
H: 9.574 18.231 -13.218
H: 10.407 19.761 -13.752
H: 6.385 19.612 -18.276
H: 7.363 21.073 -18.116
H: 5.869 20.800 -17.160
C: 15.155 26.083 -20.330
O: 16.159 26.672 -21.142
C: 17.391 26.989 -20.741
O: 17.755 26.931 -19.562
O: 18.058 27.589 -21.841
C: 19.251 28.361 -21.672
H: 15.469 25.211 -19.757
H: 14.180 26.001 -20.811
H: 14.942 26.837 -19.573
H: 19.790 28.286 -20.727
H: 19.104 29.440 -21.647
H: 19.964 28.226 -22.485

## Properties
M: 720.62 g/mol
Net charge: 0
Structure (SMILES): COC(=O)OC.COC(=O)OC.COC(=O)OC.COC(=O)OC.COC(=O)OC.COC(=O)OC.COC(=O)OC.COC(=O)OC
Highest occupied orbital energy: -10.5 eV
ΔE to the lowest compared entry with this formula, charge and spin: 157.5 kcal per mole

# C24H49N3O8PS

A cluster of 6 separate species, C24H49N3O8PS in total (ωB97M-V/def2-TZVPD, the OMol25 dataset).

Element x y z (Å)
C: 4.026 -2.298 1.978
C: 2.828 -2.241 1.071
O: 2.025 -3.397 1.251
C: 0.680 -3.240 0.914
C: -0.059 -2.451 2.013
____________
## Back to the text

Snuggle Bug

Tummy time

sleeping angel